Golden Rays of Prophethood (H/B)
Knowledge of the Prophetic Seerah is incumbent upon every Muslim, whether young or old, male or female. This current book adds to those that have already been published on this great subject. It lays out the Prophetic biography in a clear and concise manner, relying on well-documented and authentic sources. The author paints a narrative of the important events during the lifetime of Prophet Muhammad, the patience demonstrated by the Prophet and his Companions through difficult times, without losing their faith in their Lord. These events touch the heart of the reader and draws them in.
Golden Seerah (H/B)
• Unrelated to this piece: records of crystals:
/*
No. 1
DFT (PBE+U) results for a relaxed Sr3Fe2O5 crystal.

Results
Polymorph energy (0 for the lowest one) ... 62 meV/atom
Total DFT energy (no corrections) ... -6.26 eV per atom
Corrected total energy (MP2020 scheme) ... -141.08 eV per cell

a = 5.3053 Å, b = 10.8102 Å, c = 5.3053 Å
α = 98.34°, β = 79.53°, γ = 98.34°
Closest atoms and distances in Å follow each position.
Fractional positions:
1 O 0.4042 0.6169 0.4042  1 Fe 2.02
2 O 0.0000 0.0000 0.0000  2 Fe 2.05
3 O 0.0958 0.3831 0.0958  1 Fe 2.02
4 O 0.5958 0.3831 0.5958  1 Fe 2.02
5 O 0.7980 0.1920 0.7980  2 Fe 2.04
6 O 0.5000 0.0000 0.5000  2 Fe 2.05
7 O 0.2980 0.1920 0.2980  2 Fe 2.04
8 O 0.2020 0.8080 0.2020  2 Fe 2.04
9 O 0.9042 0.6169 0.9042  1 Fe 2.02
10 O 0.7020 0.8080 0.7020  2 Fe 2.04
11 Sr 0.4063 0.6252 0.9063  6 O 2.58-2.65
12 Sr 0.0937 0.3748 0.5937  6 O 2.58-2.65
13 Sr 0.5000 0.0000 0.0000  8 O 2.65
14 Sr 0.5937 0.3748 0.0937  6 O 2.58-2.65
15 Sr 0.0000 0.0000 0.5000  8 O 2.65
16 Sr 0.9063 0.6252 0.4063  6 O 2.58-2.65
17 Fe 0.4517 0.8069 0.4517  4 O 2.02-2.05
18 Fe 0.5483 0.1931 0.5483  4 O 2.02-2.05
19 Fe 0.9517 0.8069 0.9517  4 O 2.02-2.05
20 Fe 0.0483 0.1931 0.0483  4 O 2.02-2.05

No. 2
DFT (PBE+U) results for a relaxed SrFe12O19 crystal.

Results
Polymorph energy (0 for the lowest one) ... 9 meV/atom
Total DFT energy (no corrections) ... -6.63 eV per atom
Corrected total energy (MP2020 scheme) ... -504.88 eV per cell
Crystal system ... hexagonal
Space group ... No. 186

a = 6.0111 Å, b = 6.0111 Å, c = 23.3561 Å
α = 90.00°, β = 90.00°, γ = 120.00°
Closest atoms and distances in Å follow each position.
Fractional positions:
1 Fe 0.6667 0.3333 0.9721  4 O 1.91-1.95
2 Fe 0.6580 0.8290 0.6096  6 O 1.96-2.14
3 Fe 0.8350 0.1650 0.3913  6 O 1.97-2.16
4 Fe 0.3333 0.6667 0.4721  4 O 1.91-1.95
5 Fe 0.1710 0.8290 0.6096  6 O 1.96-2.14
6 Fe 0.8290 0.6580 0.1096  6 O 1.96-2.14
7 Fe 0.0000 0.0000 0.2521  3 O 1.86
8 Fe 0.1650 0.3300 0.8913  6 O 1.97-2.16
9 Fe 0.0000 0.0000 0.0000  6 O 2.01-2.06
10 Fe 0.3333 0.6667 0.0284  4 O 1.95-1.98
11 Fe 0.3420 0.1710 0.1096  6 O 1.96-2.14
12 Fe 0.3333 0.6667 0.1910  6 O 1.99-2.12
13 Fe 0.0000 0.0000 0.5000  6 O 2.01-2.06
14 Fe 0.6667 0.3333 0.6910  6 O 1.99-2.12
15 Fe 0.1650 0.8350 0.8913  6 O 1.97-2.16
16 Fe 0.8350 0.6700 0.3913  6 O 1.97-2.16
17 Fe 0.0000 0.0000 0.7521  3 O 1.86
18 Fe 0.8290 0.1710 0.1096  6 O 1.96-2.14
19 Fe 0.3333 0.6667 0.3088  6 O 2.06-2.11
20 Fe 0.6667 0.3333 0.5284  4 O 1.95-1.98
21 Fe 0.6700 0.8350 0.8913  6 O 1.97-2.16
22 Fe 0.1710 0.3420 0.6096  6 O 1.96-2.14
23 Fe 0.3300 0.1650 0.3913  6 O 1.97-2.16
24 Fe 0.6667 0.3333 0.8088  6 O 2.06-2.11
25 O 0.4901 0.9803 0.8483  3 Fe 1.97-2.06
26 O 0.0197 0.5099 0.8483  3 Fe 1.97-2.06
27 O 0.6831 0.8415 0.4469  4 Fe 1.91-2.13
28 O 0.3032 0.1516 0.5531  4 Fe 1.98-2.14
29 O 0.8415 0.1585 0.9469  4 Fe 1.91-2.13
30 O 0.0000 0.0000 0.8478  3 Fe 2.00
31 O 0.9949 0.4975 0.1515  3 Fe 1.96-1.99
32 O 0.1585 0.3169 0.4469  4 Fe 1.91-2.13
33 O 0.4975 0.5025 0.6515  3 Fe 1.96-1.99
*/
Golden Seerah: For the Young Generation by Darussalam written by Abdul Malik Mujahid
How He Treated Them? (H/B)
Prophet Muhammad is beyond all doubt one of the most influential figures in world history, who brought the message of Islam, a religion with over one billion followers across the globe. The Prophet was a supremely successful man, but he was not just a great hero and leader. He preached a religion, founded a State, built a nation, laid down a moral code, initiated numerous social and political reforms, established a powerful and dynamic society to practice and represent his teachings and completely revolutionized the worlds of human thought and behavior for all times to come.
Image of the Prophet Muhammad in the West: A Study of Muir, Margoliouth and Watt
This is an outline of the main contours of Wstern scholarshop on the life and achievements of the Prophet Muhammad. It aim to highlight a perceived lack of objectivity and to focus on the need to study Islam from a scholarly and objective angle.
Mohammed alsof je hem kunt zien (Dutch)
In dit boek worden gebeurtenissen uit het leven van de Profeet Mohammed (vrede zij met hem) aangegrepen om een gedetailleerd en zeer persoonlijk portret te schilderen van de man die de wereld wakker schudde met zijn boodschap van Allah. Dit boek beschrijft de geliefde Profeet (vzmh) van de islam zo intiem dat het werkelijk is alsof je hem voor je ziet.
(This is the Dutch version of ‘Muhammad: As If You Can See Him’)
Translator by Noureddine Steenvoorden
Muhammad – The Man, The Leader, The Messenger Of God
**The article is interrupted by materials data:**
~~~
DFT (GGA+U) results for a relaxed Li2Mn3CuO8 crystal.

```
data_Li2Mn3CuO8
_space_group_name_H-M_alt 'P 1'
_space_group_IT_number 1
_cell_length_a 5.955
_cell_length_b 5.955
_cell_length_c 5.955
_cell_angle_alpha 59.08
_cell_angle_beta 59.08
_cell_angle_gamma 59.08
loop_
_space_group_symop_operation_xyz
'x,y,z'
loop_
_atom_site_label
_atom_site_type_symbol
_atom_site_fract_x
_atom_site_fract_y
_atom_site_fract_z
Li1 Li 0.120 0.120 0.120
Li2 Li 0.880 0.880 0.880
Mn1 Mn 0.500 0.000 0.500
Mn2 Mn 0.500 0.500 0.000
Mn3 Mn 0.000 0.500 0.500
Cu1 Cu 0.500 0.500 0.500
O1 O 0.263 0.263 0.263
O2 O 0.708 0.254 0.254
O3 O 0.254 0.254 0.708
O4 O 0.254 0.708 0.254
O5 O 0.746 0.292 0.746
O6 O 0.746 0.746 0.292
O7 O 0.292 0.746 0.746
O8 O 0.737 0.737 0.737
```

- ΔH_f (0 K) (eV/atom) = -1.85
- total moment (μB per formula unit) = 8.0
- space group = R-3m
- E above lowest polymorph (meV/atom) = 7

***

DFT (GGA+U) results for a relaxed Sr10CaY4Co10O30 crystal.

```
data_Sr10CaY4Co10O30
_space_group_name_H-M_alt 'P 1'
_space_group_IT_number 1
_cell_length_a 11.682
_cell_length_b 11.682
_cell_length_c 11.682
_cell_angle_alpha 137.15
_cell_angle_beta 137.15
_cell_angle_gamma 62.20
loop_
_space_group_symop_operation_xyz
'x,y,z'
loop_
_atom_site_label
_atom_site_type_symbol
_atom_site_fract_x
_atom_site_fract_y
_atom_site_fract_z
Sr1 Sr 0.679 0.679 0.000
Sr2 Sr 0.076 0.872 0.581
Sr3 Sr 0.494 0.076 0.203
Sr4 Sr 0.872 0.291 0.797
Sr5 Sr 0.291 0.494 0.419
Sr6 Sr 0.709 0.506 0.581
Sr7 Sr 0.128 0.709 0.203
Sr8 Sr 0.506 0.924 0.797
Sr9 Sr 0.924 0.128 0.419
Sr10 Sr 0.321 0.321 0.000
Ca1 Ca 0.500 0.500 0.000
Y1 Y 0.898 0.701 0.599
Y2 Y 0.299 0.898 0.196
Y3 Y 0.701 0.102 0.804
Y4 Y 0.102 0.299 0.401
Co1 Co 0.897 0.897 0.000
Co2 Co 0.307 0.108 0.598
Co3 Co 0.709 0.307 0.199
Co4 Co 0.108 0.510 0.801
Co5 Co 0.510 0.709 0.402
Co6 Co 0.490 0.291 0.598
Co7 Co 0.892 0.490 0.199
Co8 Co 0.291 0.693 0.801
Co9 Co 0.693 0.892 0.402
Co10 Co 0.103 0.103 0.000
O1 O 0.025 0.730 0.898
O2 O 0.428 0.928 0.500
O3 O 0.832 0.127 0.102
O4 O 0.220 0.323 0.694
O5 O 0.629 0.526 0.306
O6 O 0.730 0.832 0.705
O7 O 0.127 0.025 0.295
O8 O 0.526 0.220 0.897
O9 O 0.928 0.428 0.500
O10 O 0.323 0.629 0.103
O11 O 0.371 0.474 0.694
O12 O 0.780 0.677 0.306
O13 O 0.168 0.873 0.898
O14 O 0.572 0.072 0.500
O15 O 0.975 0.270 0.102
O16 O 0.677 0.371 0.897
O17 O 0.072 0.572 0.500
O18 O 0.474 0.780 0.103
O19 O 0.873 0.975 0.705
O20 O 0.270 0.168 0.295
O21 O 0.808 0.808 0.000
O22 O 0.204 0.005 0.601
O23 O 0.603 0.204 0.199
O24 O 0.005 0.405 0.801
O25 O 0.405 0.603 0.399
O26 O 0.595 0.397 0.601
O27 O 0.995 0.595 0.199
O28 O 0.397 0.796 0.801
O29 O 0.796 0.995 0.399
O30 O 0.192 0.192 0.000
```

- ΔH_f (0 K) (eV/atom) = -2.38
- total moment (μB per formula unit) = 0.0
- space group = I4/m

***

DFT (GGA+U) results for a relaxed PrVO3 crystal.

```
data_PrVO3
_space_group_name_H-M_alt 'P 1'
_space_group_IT_number 1
_cell_length_a 3.936
_cell_length_b 3.936
_cell_length_c 3.936
_cell_angle_alpha 90.00
_cell_angle_beta 90.00
~~~
Muhammad The Man, The Leader, The Messenger of God, Biography and Summary, His eachings and Main Events in His Life
Muhammad (SAW) Noble Life Of The Last Prophet And Messenger Of Allah Religion & State
I fully acknowledge that there are many books about the Prophet’s life, written by tireless researchers and exceptional authors over the generations. These books have covered every aspect of the seerah, extracting lessons from it as well as Islamic rulings and many other benefits. It has been a centuries-long group effort, written in various languages for every type of audience.
Muhammad As If You Can See Him (H/B)
How many times have you heard the phrase, ‘Would you do that if the prophet was watching?’
This book challenges readers to think closely about this phrase, and describes the Prophet Muhammad (PBUH) from the first page of the book’s first chapter.
In fact, the book is a message of love from a mere human being.. to the best of human beings.
Written by the best-selling author of Don’t be Sad and You can be the Happiest Woman in the World, Muhammad as if you can see Him is promised to have the same effect on readers as did ‘Aid Al-Qarni’s previous writings.
What makes the book so special??
It is written by a skilled and award-winning author.
It describes the Prophet’s physical features as well as his inner traits.
The book leads the reader to understanding Muhammad from his beginning to his end.
The text and words are easy to understand, and the stories allow readers to keep up with their pace.
Muhammad His Character and Conduct
Seerah and Biographies